Total Phrases- 852

Scenes of In-positive

37 of 79

In-positive / Confidence url

Using a new recipe for a meal

  1. I heard it directly from the horse’s mouth.
  2. Trust me I know what I’m doing.
  3. It’s as easy as 1-2-3.
  4. Maybe that’s all I have to do to make it work.
  5. That’s the way I like it.
  6. It’s as easy as pie.
  7. I’ve done it before, I’m totally capable of doing it again.
  8. I can handle it myself.
  9. It’s as easy as that.
  10. It’s a piece of cake!
  11. I can do it with one hand tied behind my back.
  12. The proof is in the pudding.

Using a new recipe for a meal

38 of 79

In-positive / Confidence url

After an appendix operation

  1. I feel like a new man.
  2. I know I’m on the road to recovery.
  3. I feel better than ever.
  4. Don’t worry about me.
  5. I’ll be fine.
  6. I get by with a little help from my friends.
  7. I’m not out of the woods yet, but I’m fully confident that I will be in no time at all.
  8. I’m patient and hopeful that it will all be for the best.
  9. I should be alright.
  10. It didn't make any sense not to do it.

After an appendix operation

39 of 79

In-positive / Confidence url

While being lost in a forest

  1. It’s no cause for alarm.
  2. There’s always a way.
  3. It won’t be long now.
  4. We can walk on our own two feet.
  5. I’m hoping for the best.
  6. We’ll be alright.
  7. I’m confident that I can do it by hook or by crook.
  8. Were in the home stretch.
  9. Let’s rise to the occasion.
  10. Keep a stiff upper lip.
  11. It’s just a rule of thumb that I use in situations like this.
  12. It’s just a matter of time until we’ll find a way out.
  13. It should be clear sailing from here on in.
  14. We’re making progress.

While being lost in a forest

40 of 79

In-positive / Relief url

Surviving after being lost in the desert for 3 days.

  1. I was on my last legs, and I didn’t think I could hold out much longer, when I was miraculously saved in the nick of time.
  2. I got through by the skin of my teeth.
  3. I don’t know how I did it.
  4. I got in just under the wire.
  5. At the end if was touch and go, and I was wondering if I was going to make it.
  6. Home, sweet, home.
  7. Things are finally getting back to normal.
  8. I was on my last legs.

Surviving after being lost in the desert for 3 days.

41 of 79

In-positive / Surprise url

A friend becomes president of the company

  1. Goodness gracious.
  2. Well what do you know?
  3. It’s too good to be true.
  4. For goodness sakes.
  5. For heaven’s sake.
  6. It took us all by surprise.

A friend becomes president of the company

42 of 79

In-positive / Hope url

When your candidate is elected

  1. Maybe there’s hope for us yet.
  2. It could turn things around.
  3. Things are looking up.
  4. It’s the wave of the future.
  5. That’s a good sign.
  6. I hope to heaven that what you’re telling me is true.
  7. It took a long time to happen, but it was worth waiting for.
  8. At times we didn’t think it would be successful, but now it might be a dream come true.
  9. The best is yet to come.

When your candidate is elected

43 of 79

In-positive / Amazed url

General Amazement Situations

  1. I can’t believe how hot it is.
  2. Where is everybody?
  3. My goodness!
  4. Now that’s a good question.
  5. That must have cost you a pretty penny.
  6. He’s growing like a weed.
  7. The phone’s been ringing off the hook.
  8. Have I got a story to tell you!
  9. You don’t know the half of it.
  10. You’d never guess in a million years.
  11. It’s like he has eyes in the back of his head.
  12. Look at it come down, it’s raining cats and dogs.
  13. I can’t believe how cold it is.
  14. It boggles the mind just to imagine the possibilities.
  15. He’s the spitting image of him.
  16. What's your secret sauce?

General Amazement Situations

44 of 79

=====
# 1
# RbNaAsPd PBE relaxed
data_RbNaAsPd
_chemical_formula_sum 'Rb1 Na1 As1 Pd1'
_space_group_name_H-M_alt 'P 1'
_space_group_IT_number 1
_cell_length_a 4.478
_cell_length_b 4.478
_cell_length_c 7.170
_cell_angle_alpha 71.80
_cell_angle_beta 71.80
_cell_angle_gamma 60.00
loop_
_space_group_symop_operation_xyz
'x,y,z'
loop_
_atom_site_label
_atom_site_fract_x
_atom_site_fract_y
_atom_site_fract_z
_atom_site_occupancy
As1 0.610 0.610 0.170 1
Rb1 0.824 0.824 0.528 1
Na1 0.013 0.013 0.961 1
Pd1 0.279 0.279 0.164 1
# V ... 29.0 Å³/atom
# Energy of formation from the pure elements ... -333 meV per atom
# Calculated total energy ... -0.1237 Ha/atom

=====

# 2
# Tl2FeAgCl6 PBE relaxed
data_Tl2FeAgCl6
_chemical_formula_sum 'Tl4 Fe2 Ag2 Cl12'
_space_group_name_H-M_alt 'P 1'
_space_group_IT_number 1
_cell_length_a 7.122
_cell_length_b 7.236
_cell_length_c 10.174
_cell_angle_alpha 90.00
_cell_angle_beta 89.82
_cell_angle_gamma 90.00
loop_
_space_group_symop_operation_xyz
'x,y,z'
loop_
_atom_site_label
_atom_site_fract_x
_atom_site_fract_y
_atom_site_fract_z
_atom_site_occupancy
Cl1 0.306 0.728 0.471 1
Tl1 0.510 0.550 0.751 1
Fe1 0.000 0.500 0.000 1
Cl2 0.228 0.196 0.470 1
Cl3 0.560 0.007 0.266 1
Tl2 0.990 0.050 0.749 1
Cl4 0.772 0.804 0.530 1
Ag1 0.500 0.000 0.000 1
Cl5 0.060 0.493 0.766 1
Fe2 0.500 0.000 0.500 1
Cl6 0.806 0.772 0.971 1
Cl7 0.728 0.304 0.970 1
Cl8 0.940 0.507 0.234 1
Tl3 0.490 0.450 0.249 1
Ag2 0.000 0.500 0.500 1
Cl9 0.440 0.993 0.734 1
Tl4 0.010 0.950 0.251 1
Cl10 0.194 0.228 0.029 1
Cl11 0.694 0.272 0.529 1
Cl12 0.272 0.696 0.030 1
# V ... 26.2 Å³/atom
# Formation energy without anion corrections ... -0.7977 eV/atom
# Calculated total energy ... -0.1290 Ha/atom

=====

# 3
# LaTi4Re2 PBE relaxed
data_LaTi4Re2
_chemical_formula_sum 'La1 Ti4 Re2'
_space_group_name_H-M_alt 'P 1'
_space_group_IT_number 1
_cell_length_a 4.894
_cell_length_b 4.894
_cell_length_c 7.112
_cell_angle_alpha 69.87
_cell_angle_beta 69.87
_cell_angle_gamma 90.00
loop_
_space_group_symop_operation_xyz
'x,y,z'
loop_
_atom_site_label
_atom_site_fract_x
_atom_site_fract_y
_atom_site_fract_z
_atom_site_occupancy
Ti1 0.500 0.000 0.000 1
Re1 0.607 0.607 0.786 1
La1 0.000 0.000 0.000 1
Ti2 0.210 0.210 0.580 1
Ti3 0.000 0.500 0.000 1
Re2 0.393 0.393 0.214 1
Ti4 0.790 0.790 0.420 1
# V ... 21.3 Å³/atom
# Energy of formation from the pure elements ... 1205 meV per atom
# Calculated total energy ... -0.2781 Ha/atom

=====

# 4
# VZn2AsC PBE relaxed
data_VZn2AsC
_chemical_formula_sum 'V1 Zn2 As1 C1'
_space_group_name_H-M_alt 'P 1'
_space_group_IT_number 1
_cell_length_a 3.763
_cell_length_b 5.780
_cell_length_c 3.763
_cell_angle_alpha 90.00
_cell_angle_beta 90.00
_cell_angle_gamma 90.00
loop_
_space_group_symop_operation_xyz
'x,y,z'
loop_
_atom_site_label
_atom_site_fract_x
_atom_site_fract_y
_atom_site_fract_z
_atom_site_occupancy
Zn1 0.000 0.000 0.500 1
C1 0.000 0.000 0.000 1
Zn2 0.500 0.000 0.000 1
V1 0.500 0.500 0.500 1
As1 0.000 0.500 0.000 1
# V ... 16.4 Å³/atom
=====

In-positive / Surprise url

You win the lottery

La2MoIrF after structural relaxation. Source: the Alexandria database, functional PBE+U.

```
La2MoIrF
1.0
-0.265 5.105 2.399
-2.052 -1.703 3.396
4.962 -0.932 2.531
Mo Ir F La
1 1 1 2
Direct
0.500 0.500 0.500
0.000 0.000 0.000
0.000 0.500 0.000
0.000 0.000 0.500
0.500 0.000 0.000
```

Properties
Final energy ... -27.83 eV/f.u.

=====

# Ba3LaZnReWO12 | Alexandria via LeMat-Bulk | PBE+U | optimized geometry
# **Volume**: 822 Å³/cell
# **Energy**: -7.17 eV per atom
data_Ba3LaZnReWO12
_chemical_formula_sum 'Ba9 La3 Zn3 Re3 W3 O36'
_symmetry_space_group_name_H-M 'R 3 m'
_symmetry_Int_Tables_number 160
_symmetry_space_group_name_Hall 'R 3 -2"'
_cell_length_a 5.7722
_cell_length_b 5.7722
_cell_length_c 28.5021
_cell_angle_alpha 90.00
_cell_angle_beta 90.00
_cell_angle_gamma 120.00
loop_
_atom_site_label
_atom_site_type_symbol
_atom_site_fract_x
_atom_site_fract_y
_atom_site_fract_z
_atom_site_occupancy
Ba1 Ba 0.0000 0.0000 0.0000 1
Ba2 Ba 0.0000 0.0000 0.1600 1
Ba3 Ba 0.0000 0.0000 0.5851 1
La1 La 0.0000 0.0000 0.4053 1
Zn1 Zn 0.0000 0.0000 0.2890 1
Re1 Re 0.0000 0.0000 0.8746 1
W1 W 0.0000 0.0000 0.7173 1
O1 O 0.9997 0.4998 0.0090 1
O2 O 0.0086 0.5043 0.4176 1
O3 O 0.0207 0.5103 0.5850 1
O4 O 0.1763 0.3526 0.5082 1

=====

Below is crystalline ErGaAu at its relaxed geometry, with properties calculated at the PBE-GGA level.

abc: 5.787 5.787 5.787
angles: 145.38 145.38 49.78
Sites, in units of the cell vectors:
Er1 0.000 0.000 0.000
Ga1 0.685 0.685 0.000
Au1 0.326 0.326 0.000

**M_tot**: 0.00 μB per formula unit
**Energy of formation from the pure elements**: -559 meV per atom
**D(E_F)**: 2.19 states/eV/f.u.

Below is crystalline Cs3LiHg2F8 at its relaxed geometry, with properties calculated at the PBE-GGA level.

abc: 6.317 6.317 8.596
angles: 90.00 90.00 120.00
Sites, in units of the cell vectors:
Cs1 0.000 0.000 0.000
Cs2 0.333 0.667 0.629
Cs3 0.667 0.333 0.371
Li1 0.000 0.000 0.500
Hg1 0.333 0.667 0.209
Hg2 0.667 0.333 0.791
F1 0.157 0.313 0.342
F2 0.157 0.843 0.342
F3 0.313 0.157 0.658
F4 0.333 0.667 0.961
F5 0.667 0.333 0.039
F6 0.687 0.843 0.342
F7 0.843 0.157 0.658
F8 0.843 0.687 0.658

**M_tot**: 0.00 μB per formula unit
**ΔE_f (raw)**: -2153.7 meV/atom
**D(E_F)**: 0.00 states/eV/f.u.

Below is crystalline Nd6TmTl5 at its relaxed geometry, with properties calculated at the PBE-GGA level.

abc: 7.826 7.826 6.444
angles: 98.37 98.37 95.85
Sites, in units of the cell vectors:
Nd1 0.044 0.405 0.730
Nd2 0.217 0.217 0.211
Nd3 0.405 0.044 0.730
Nd4 0.595 0.956 0.270
Nd5 0.783 0.783 0.789
Nd6 0.956 0.595 0.270
Tm1 0.500 0.500 0.000
Tl1 0.000 0.000 0.500
Tl2 0.212 0.788 0.000
Tl3 0.366 0.634 0.500
Tl4 0.634 0.366 0.500
Tl5 0.788 0.212 0.000

**M_tot**: 0.00 μB per formula unit
**Energy of formation from the pure elements**: -185 meV per atom
**D(E_F)**: 11.77 states/eV/f.u.

Below is crystalline Fe2AsPt at its relaxed geometry, with properties calculated at the PBE-GGA level.

abc: 4.712 4.712 4.712
angles: 132.30 132.30 69.75

  1. The experience was so strange that I felt I was entering into never-never land.
  2. You could have knocked me over with a feather.
  3. Oh my gosh!
  4. It happened just outta the blue.
  5. It really blew my mind.
  6. Can you believe it?
  7. Boy, I’m telling you.
  8. One thing happened after another, and suddenly I found myself in a position that was totally unexpected.

You win the lottery

45 of 79

In-positive / Determination url

Therapist with patient

  1. Where there’s a will, there’s a way.
  2. This is an opportunity of a lifetime.
  3. I’m going to tell it to you straight, even if it means bursting your balloon.
  4. Rome wasn’t built in a day.
  5. There’s nothing that we can’t do if we put our minds to it.
  6. Let’s not give up before we start.
  7. There are so many false starts, but it’s important that we don’t give up hope.
  8. There’s more than one way to skin a cat.
  9. It doesn’t have to be that way.
  10. Unfortunately we often have to learn the hard way.
  11. Let’s start tying up loose ends.
  12. All beginnings are hard.
  13. Often just when we think it will be clear sailing from here on in, POW – something unexpected comes from out of the blue to blow our well laid plans to smithereens, and suddenly it’s back to the drawing board, forcing us to rethink the whole thing through from start to finish, from soup to nuts.

Therapist with patient

46 of 79

In-positive / Surprise url

Finding something after searching for it

  1. I looked all over the place for it, but all the time it was right under my nose.
  2. It seemed to disappear into thin air.
  3. I looked for it in the same place a hundred times, and it was right in front of eyes the whole time.
  4. It appeared out of thin air.
  5. It seemed to vanish off the face of the earth.
  6. I can’t believe I finally found it!
  7. Don’t that beat all?

Finding something after searching for it

47 of 79

In-positive / Happiness url

Getting jewelry as a present

  1. This really tickles my fancy.
  2. It fit’s like a glove.
  3. I’m tickled pink about it.
  4. I wouldn’t change it for the world.
  5. It looks just wonderful.
  6. It’s a winning combination.
  7. It makes all the difference in the world.

Getting jewelry as a present

48 of 79

In-positive / Remembering url

Meeting a friend from childhood

  1. Those were the good old days.
  2. Just for old time’s sake.
  3. There’s been a lot of water under the bridge since we saw each other last.
  4. It’s been a long time.
  5. I feel just like I was a little kid again.
  6. We go back a long way.
  7. From time to time I remember the good old days, the way things used to be.
  8. Our friendship goes back for as long as I can remember.
  9. I remember you from way back when, and you haven’t changed a bit.

Meeting a friend from childhood